(To do)
What is needed: find the line further below that holds "1.458 0.762", then return that line and all lines after it there.

(Listing)
Record 1
Density functional theory data (ωB97M-V with the def2-TZVPD basis set) for C4H6N2O as an isolated structure.

Positions of all 13 atoms, in Å:
N -2.263 -0.364 -0.110
C -0.901 -0.025 0.070
C -0.239 1.146 -0.327
C 1.123 0.859 -0.367
C 1.264 -0.488 -0.022
O 2.397 -1.207 0.178
N 0.087 -1.095 0.214
H -2.845 -0.132 0.682
H -2.355 -1.353 -0.298
H -0.715 2.082 -0.594
H 1.928 1.555 -0.584
H 3.152 -0.652 -0.047
H -0.444 -0.494 1.182

Atomic forces in eV per Å
-0.1 -0.1 0.0
0.0 0.3 -0.4
0.0 -0.1 0.1
0.1 -0.1 0.0
-0.3 0.1 0.0
0.1 0.1 -0.1
0.0 0.2 0.1
0.0 0.0 0.0
0.0 0.0 -0.1
0.0 -0.2 0.1
-0.1 -0.1 0.0
-0.1 -0.1 0.0
0.3 0.0 0.1

Total charge: 0
HOMO level, eV: -7.9908
E_tot, eV: -9270.5361
Frontier orbital gap, hartree: 0.322
M, g/mol: 98.1
Energy above the lowest of the compared OMol25 structures with the same formula, charge and spin, eV: 2.966
E_LUMO, eV: 0.77
2S+1: 1

=====

Record 2
Density functional theory data (ωB97M-V with the def2-TZVPD basis set) for one molecule with the formula C4H6N2O in a non-equilibrium geometry.

Positions of all 13 atoms, in Å:
N 0.564 0.467 -2.548
C 0.483 0.795 -1.330
O -0.561 1.204 -0.598
C -1.157 0.190 0.193
C -0.298 -0.272 1.384
C 0.710 -1.281 1.039
N 1.486 -2.093 0.762
H 1.558 0.333 -2.261
H 1.458 0.762 -0.746
H -1.427 -0.659 -0.445
H -2.061 0.663 0.572
H 0.198 0.595 1.833
H -0.955 -0.704 2.147

Atomic forces in eV per Å
1.0 0.2 1.6
1.2 0.1 1.4
-0.7 0.2 -0.3
-0.3 -0.1 0.1
0.0 0.1 0.0
0.7 -0.7 -0.2
-0.7 0.8 0.3
0.2 -0.8 -3.2
-1.2 0.3 0.3
0.0 0.1 0.1
0.0 -0.2 0.1
-0.1 -0.1 0.0
0.1 0.1 -0.1

Total charge: 0
SMILES: [H]/N=C/OCCC#N
HOMO level, eV: -10.8179
E_tot, eV: -9270.7072
Frontier orbital gap, hartree: 0.419
M, g/mol: 98.1
Energy above the lowest of the compared OMol25 structures with the same formula, charge and spin, eV: 2.795
E_LUMO, eV: 0.59
2S+1: 1

=====

Record 3
Density functional theory data (ωB97M-V with the def2-TZVPD basis set) for one molecule with the formula C4H6N2O in a non-equilibrium geometry.

Positions of all 13 atoms, in Å:
O 1.464 2.093 0.755
C 0.877 1.153 0.285
N 1.445 -0.016 -0.276
C 0.477 -1.079 -0.071
C -0.667 -0.259 -0.594
C -1.692 0.273 0.330
N -0.513 1.070 -0.036
H 2.432 -0.201 -0.314
H 0.431 -1.373 0.989
H 0.604 -1.968 -0.693
H -0.431 -0.178 -1.660
H -2.658 0.600 -0.063
H -1.767 -0.115 1.348

Atomic forces in eV per Å
-0.3 -0.4 -0.1
0.3 0.1 0.1
0.4 0.1 0.4
0.0 -0.1 0.0
0.1 -0.2 -0.2
-0.1 -0.1 0.1
0.3 0.2 -0.1
0.1 0.4 0.6
-0.3 0.0 -0.2
0.4 0.2 0.1
-1.8 -0.4 -0.3
0.5 0.4 0.1
0.2 -0.2 -0.3

Total charge: 0
SMILES: O=C1NC[C@H]2CN12
HOMO level, eV: -9.4656
E_tot, eV: -9270.8761
Frontier orbital gap, hartree: 0.380
M, g/mol: 98.1
Energy above the lowest of the compared OMol25 structures with the same formula, charge and spin, eV: 2.626
E_LUMO, eV: 0.87
2S+1: 1


115
Properties=species:S:1:pos:R:3:forces:R:3:mulliken_charge:R:1 method="wB97M-V/def2-TZVPD" e_above_lowest_ev=0.000 charge=-2
Al 2.17248 -0.30916 1.32023 0.4 0.2 -0.1 -2.06
O 1.87829 -1.81563 2.26198 0.0 -0.1 0.1 0.99
C 1.97067 -3.08820 2.73546 0.0 0.1 -0.1 2.02
C 1.12228 -3.14395 4.00952 0.0 -0.1 0.0 -0.75
C 0.81258 -4.17889 4.84428 0.0 0.0 0.0 -0.42
C -0.00029 -3.76680 5.93336 0.0 0.0 0.0 -0.79
C -0.27512 -2.42936 5.88727 0.0 0.0 0.0 -0.74
S 0.42792 -1.67035 4.52688 0.0 0.1 0.0 0.33
C 3.39327 -3.47801 3.12429 0.0 -0.1 0.0 -0.40
C 3.95719 -4.72096 3.23086 0.0 0.0 0.0 -0.48
C 5.25652 -4.68264 3.79892 0.0 0.1 0.0 -0.81
C 5.63052 -3.40778 4.12027 0.1 0.0 -0.1 -0.62
S 4.44353 -2.26024 3.69663 0.0 0.0 0.0 0.21
C 1.43207 -4.09379 1.71046 -0.1 0.0 0.0 -0.42
C 2.07853 -4.67768 0.66232 0.0 0.1 -0.1 -0.39
C 1.22095 -5.46652 -0.15395 0.0 0.0 0.0 -0.85
C -0.06729 -5.46620 0.29279 0.0 0.1 -0.1 -0.57
S -0.23981 -4.50420 1.69771 0.0 -0.1 0.0 -0.19
H 1.15897 -5.19137 4.68428 0.0 0.0 0.0 0.52
H -0.36249 -4.43068 6.70768 0.0 0.0 0.0 0.38
H -0.87239 -1.85543 6.57841 0.0 0.0 0.0 0.46
H 3.45529 -5.62868 2.92325 0.0 0.0 0.0 0.51
H 5.88478 -5.55238 3.93969 0.0 0.0 0.0 0.38
H 6.57758 -3.07871 4.51835 0.0 0.0 0.0 0.43

(Done)
H 1.458 0.762 -0.746
H -1.427 -0.659 -0.445
H -2.061 0.663 0.572
H 0.198 0.595 1.833
H -0.955 -0.704 2.147

Atomic forces in eV per Å
1.0 0.2 1.6
1.2 0.1 1.4
-0.7 0.2 -0.3
-0.3 -0.1 0.1
0.0 0.1 0.0
0.7 -0.7 -0.2
-0.7 0.8 0.3
0.2 -0.8 -3.2
-1.2 0.3 0.3
0.0 0.1 0.1
0.0 -0.2 0.1
-0.1 -0.1 0.0
0.1 0.1 -0.1

Total charge: 0
SMILES: [H]/N=C/OCCC#N
HOMO level, eV: -10.8179
E_tot, eV: -9270.7072
Frontier orbital gap, hartree: 0.419
M, g/mol: 98.1
Energy above the lowest of the compared OMol25 structures with the same formula, charge and spin, eV: 2.795
E_LUMO, eV: 0.59
2S+1: 1

=====

Record 3
Density functional theory data (ωB97M-V with the def2-TZVPD basis set) for one molecule with the formula C4H6N2O in a non-equilibrium geometry.

Positions of all 13 atoms, in Å:
O 1.464 2.093 0.755
C 0.877 1.153 0.285
N 1.445 -0.016 -0.276
C 0.477 -1.079 -0.071
C -0.667 -0.259 -0.594
C -1.692 0.273 0.330
N -0.513 1.070 -0.036
H 2.432 -0.201 -0.314
H 0.431 -1.373 0.989
H 0.604 -1.968 -0.693
H -0.431 -0.178 -1.660
H -2.658 0.600 -0.063
H -1.767 -0.115 1.348

Atomic forces in eV per Å
-0.3 -0.4 -0.1
0.3 0.1 0.1
0.4 0.1 0.4
0.0 -0.1 0.0
0.1 -0.2 -0.2
-0.1 -0.1 0.1
0.3 0.2 -0.1
0.1 0.4 0.6
-0.3 0.0 -0.2
0.4 0.2 0.1
-1.8 -0.4 -0.3
0.5 0.4 0.1
0.2 -0.2 -0.3

Total charge: 0
SMILES: O=C1NC[C@H]2CN12
HOMO level, eV: -9.4656
E_tot, eV: -9270.8761
Frontier orbital gap, hartree: 0.380
M, g/mol: 98.1
Energy above the lowest of the compared OMol25 structures with the same formula, charge and spin, eV: 2.626
E_LUMO, eV: 0.87
2S+1: 1


115
Properties=species:S:1:pos:R:3:forces:R:3:mulliken_charge:R:1 method="wB97M-V/def2-TZVPD" e_above_lowest_ev=0.000 charge=-2
Al 2.17248 -0.30916 1.32023 0.4 0.2 -0.1 -2.06
O 1.87829 -1.81563 2.26198 0.0 -0.1 0.1 0.99
C 1.97067 -3.08820 2.73546 0.0 0.1 -0.1 2.02
C 1.12228 -3.14395 4.00952 0.0 -0.1 0.0 -0.75
C 0.81258 -4.17889 4.84428 0.0 0.0 0.0 -0.42
C -0.00029 -3.76680 5.93336 0.0 0.0 0.0 -0.79
C -0.27512 -2.42936 5.88727 0.0 0.0 0.0 -0.74
S 0.42792 -1.67035 4.52688 0.0 0.1 0.0 0.33
C 3.39327 -3.47801 3.12429 0.0 -0.1 0.0 -0.40
C 3.95719 -4.72096 3.23086 0.0 0.0 0.0 -0.48
C 5.25652 -4.68264 3.79892 0.0 0.1 0.0 -0.81
C 5.63052 -3.40778 4.12027 0.1 0.0 -0.1 -0.62
S 4.44353 -2.26024 3.69663 0.0 0.0 0.0 0.21
C 1.43207 -4.09379 1.71046 -0.1 0.0 0.0 -0.42
C 2.07853 -4.67768 0.66232 0.0 0.1 -0.1 -0.39
C 1.22095 -5.46652 -0.15395 0.0 0.0 0.0 -0.85
C -0.06729 -5.46620 0.29279 0.0 0.1 -0.1 -0.57
S -0.23981 -4.50420 1.69771 0.0 -0.1 0.0 -0.19
H 1.15897 -5.19137 4.68428 0.0 0.0 0.0 0.52
H -0.36249 -4.43068 6.70768 0.0 0.0 0.0 0.38
H -0.87239 -1.85543 6.57841 0.0 0.0 0.0 0.46
H 3.45529 -5.62868 2.92325 0.0 0.0 0.0 0.51
H 5.88478 -5.55238 3.93969 0.0 0.0 0.0 0.38
H 6.57758 -3.07871 4.51835 0.0 0.0 0.0 0.43